Nicks comment

Rubbed me the wrong way. AND I'm a proud Canadian but I agree with Nikki that they were invited and have just as much of a right to win if they play a good game! It's all about gameplay, nationality shouldnt matter!

Then phils 'weak players' comment to Tim. Those brothers are shooting themselves in the feet!


They are getting under Tim's skin on purpose and I love it.


They aren't nearly bright enough to do anything like that on purpose. They are just really, really stupid.


I think Nick was saying something a lot of hardcore Canadian fans were thinking. Only problem is its the houses fault for not getting rid of them. The brothers were HOH and nominated Ramsey/Maddy with the intentions to target Maddy. Replacement nominees weren't even a thought. Only had to cause of the circumstances.

[The article is interrupted by data records]
____________
[1]
Theoretical powder diffractogram of CaInBrF2 for Cu Kα (weighted mean of Kα1 and Kα2), from the GGA-PBE geometry in Alexandria.
Neutral-atom scattering factors, no anomalous dispersion.

Atomic structure:
```
CaInBrF2
1.0
6.8652 0.0000 0.0000
0.0000 4.0619 0.0000
-2.6092 0.0000 8.2857
Ca In Br F
2 2 2 4
Cartesian
0.0992 1.0155 3.5042
4.1568 3.0464 4.7815
-0.9192 1.0155 7.7538
5.1752 3.0464 0.5319
1.2794 3.0464 5.5313
2.9766 1.0155 2.7544
-0.9571 3.0464 3.2246
-0.2013 1.0155 1.2346
4.4573 3.0464 7.0511
5.2131 1.0155 5.0611
```

Largest 10 diffraction maxima, sorted by position, 10° ≤ 2θ ≤ 90°:
2θ/deg	d [Å]	Rel. int.
25.8	3.452	72
26.4	3.382	100
28.8	3.105	38
29.2	3.053	84
30.8	2.900	66
32.3	2.774	36
35.2	2.549	37
36.4	2.467	65
44.6	2.031	39
49.8	1.831	37



[2]
Theoretical powder diffractogram of Li2NdSN for Cu Kα (weighted mean of Kα1 and Kα2), from the GGA-PBE geometry in Alexandria.
Neutral-atom scattering factors, no anomalous dispersion.

Atomic structure:
```
Li2NdSN
1.0
-2.8992 2.8992 4.8076
2.8992 -2.8992 4.8076
2.8992 2.8992 -4.8076
Li Nd S N
4 2 2 2
Cartesian
3.9456 1.0464 0.0000
1.0464 1.8528 0.0000
1.8528 1.0464 4.8076
-1.0464 1.8528 4.8076
0.0000 0.0000 2.4052
0.0000 0.0000 7.2128
2.8992 0.0000 2.4129
0.0000 2.8992 2.4129
0.0000 0.0000 0.0046
0.0000 0.0000 4.8122
```

Largest 10 diffraction maxima, sorted by position, 10° ≤ 2θ ≤ 90°:
2θ/deg	d [Å]	Rel. int.
18.5	4.808	100
21.7	4.100	87
28.6	3.120	55
30.8	2.899	83
36.2	2.483	91
37.4	2.404	29
43.6	2.074	28
44.2	2.050	33
48.3	1.886	35
49.2	1.850	42



[3]
Theoretical powder diffractogram of Th2CuNi3P4 for Cu Kα (weighted mean of Kα1 and Kα2), from the GGA-PBE geometry in Alexandria.
Neutral-atom scattering factors, no anomalous dispersion.

Atomic structure:
```
Th2CuNi3P4
1.0
4.1297 0.0000 0.0000
0.0000 4.1297 0.0000
0.0000 0.0000 9.0941
Th Cu Ni P
2 1 3 4
Cartesian
0.0000 2.0649 2.2486
2.0649 0.0000 6.8455
0.0000 0.0000 4.5471
0.0000 2.0649 8.0902
2.0649 0.0000 1.0039
2.0649 2.0649 4.5471
0.0000 0.0000 0.0000
0.0000 2.0649 5.7749
2.0649 0.0000 3.3193
2.0649 2.0649 0.0000
```

Largest 10 diffraction maxima, sorted by position, 10° ≤ 2θ ≤ 90°:
2θ/deg	d [Å]	Rel. int.
23.7	3.760	74
30.6	2.920	40
36.6	2.457	100
36.8	2.444	89
43.8	2.065	53
50.4	1.810	22
55.2	1.665	23
58.5	1.577	46
73.0	1.296	20
75.8	1.255	24



[4]
Theoretical powder diffractogram of LaCe2Y3Se6 for Cu Kα (weighted mean of Kα1 and Kα2), from the GGA-PBE geometry in Alexandria.
Neutral-atom scattering factors, no anomalous dispersion.
____________
[The article goes on]

As for Phil's comment. I think he wanted to get Nikki, Joel and Cassandra to turn on Tim and it didn't go the way he planned it.

I hope the brothers win HOH since they can't play in the veto.


I think you guys are giving them too much credit! I don't think there was any strategy behind either statement, they just don't distinguish between what to think and what to verbalize lol


You're completely right, there was no strategy at all in that comment. They weren't trying to get under Tim's skin since they've been saying this whole season they want to see a Canadian win.

[Attached: calculated crystals]
********
Record 1
For Nd3HgS6, a PBE-relaxed structure gives the theoretical X-ray powder pattern in this record (Cu Kα, 1.54184 Å).
No peak broadening, texture or thermal motion is included.

Largest 10 diffraction maxima, sorted by position, 10 to 80 degrees two-theta:
2θ = 24.54°, I 100; 2θ = 24.97°, I 66; 2θ = 28.34°, I 27; 2θ = 34.11°, I 18; 2θ = 36.41°, I 27; 2θ = 41.48°, I 42; 2θ = 47.21°, I 20; 2θ = 47.83°, I 24; 2θ = 49.57°, I 23; 2θ = 49.70°, I 23

```
Nd3HgS6
1.0
5.507 -6.759 0.000
5.507 6.759 0.000
0.000 0.000 6.879
Nd Hg S
6 2 12
Direct
0.100 0.900 0.500
0.218 0.415 0.592
0.415 0.218 0.092
0.585 0.782 0.592
0.782 0.585 0.092
0.900 0.100 0.000
0.298 0.702 0.112
0.702 0.298 0.612
0.054 0.591 0.324
0.131 0.192 0.295
0.192 0.131 0.795
0.275 0.725 0.754
0.409 0.946 0.324
0.470 0.530 0.296
0.530 0.470 0.796
0.591 0.054 0.824
0.725 0.275 0.254
0.808 0.869 0.295
0.869 0.808 0.795
0.946 0.409 0.824
```

=====

Record 2
For Nd5HgS4, a PBE-relaxed structure gives the theoretical X-ray powder pattern in this record (Cu Kα, 1.54184 Å).
No peak broadening, texture or thermal motion is included.

Largest 10 diffraction maxima, sorted by position, 10 to 80 degrees two-theta:
2θ = 26.29°, I 9; 2θ = 26.53°, I 13; 2θ = 30.51°, I 100; 2θ = 43.19°, I 11; 2θ = 43.51°, I 24; 2θ = 43.86°, I 24; 2θ = 44.18°, I 12; 2θ = 54.64°, I 13; 2θ = 63.49°, I 11; 2θ = 72.32°, I 10

```
Nd5HgS4
1.0
6.906 -2.050 0.000
6.906 2.050 0.000
-5.158 0.000 8.891
Nd Hg S
5 1 4
Direct
0.000 0.000 0.000
0.204 0.204 0.812
0.387 0.387 0.608
0.613 0.613 0.392
0.796 0.796 0.188
0.000 0.000 0.500
0.203 0.203 0.292
0.403 0.403 0.101
0.597 0.597 0.899
0.797 0.797 0.708
```

=====

Record 3
For Nd8HgSb5, a PBE-relaxed structure gives the theoretical X-ray powder pattern in this record (Cu Kα, 1.54184 Å).
No peak broadening, texture or thermal motion is included.

Largest 10 diffraction maxima, sorted by position, 10 to 80 degrees two-theta:
2θ = 29.52°, I 55; 2θ = 29.79°, I 100; 2θ = 35.19°, I 29; 2θ = 35.36°, I 72; 2θ = 42.62°, I 12; 2θ = 46.87°, I 16; 2θ = 48.98°, I 12; 2θ = 60.06°, I 14; 2θ = 60.16°, I 13; 2θ = 61.88°, I 13

```
Nd8HgSb5
1.0
-4.740 4.740 4.789
4.740 -4.740 4.789
4.740 4.740 -4.789
Nd Hg Sb
8 1 5
Direct
0.119 0.374 0.106
0.123 0.377 0.608
0.268 0.014 0.894
0.485 0.877 0.254
0.623 0.231 0.746
0.626 0.732 0.745
0.769 0.515 0.392
0.986 0.881 0.255
0.500 0.500 0.000
0.250 0.750 0.500
0.374 0.250 0.372
0.750 0.122 0.124
0.878 0.002 0.628
0.998 0.626 0.876
```

=====

Record 4
For Nd2HgSb4, a PBE-relaxed structure gives the theoretical X-ray powder pattern in this record (Cu Kα, 1.54184 Å).
No peak broadening, texture or thermal motion is included.

Largest 10 diffraction maxima, sorted by position, 10 to 80 degrees two-theta:
2θ = 21.77°, I 17; 2θ = 26.35°, I 22; 2θ = 32.67°, I 13; 2θ = 33.31°, I 100; 2θ = 34.29°, I 13; 2θ = 40.02°, I 11; 2θ = 40.69°, I 36; 2θ = 54.23°, I 14; 2θ = 58.90°, I 12; 2θ = 69.38°, I 24

```
Nd2HgSb4
1.0
4.435 0.000 0.000
0.000 4.435 0.000
0.000 0.000 10.462
********

I think that whole logic is beyond stupid. Big Brother is not like the World Cup and it doesnt matter where they are from but I've noticed Canadians care ALOT where a player is from. Its always East coast vs West coast BS, and now its Canadians vs Internationals. If Tim gets to the end and losses only because hes not Canadian its gonna be a complete robbery. I'm glad the USA fans and players dont really care where people are from.


Yes to all of that!!


They weren't trying to get under Tim's skin since they've been saying this whole season they want to see a Canadian win.
That's not true. Before they became HOH Phil worshiped the ground Tim walked on. He was all set to put Jared/Kelsey on the block until Tim convinced him to put up Ramsey/Maddy. Then when the brothers tried to get Tim to back up what he said, he refused, and they realized how wishy-washy he was. It wasn't until then that he got on this kick about wanting Canadians to win. He agitates Tim on purpose. It might not be strategy, but a lot of it has to do with the fact that he just doesn't like Tim anymore.


Plus Phil seemed to have been in love with Nikki early on.


 Phil was friends with Tim but if you haven't noticed he's been up Jareds ass the entire season. Tim wasn't pushing for a certain set of nominees, he just wanted Phil to make up his damn mind during his HOH. Even went with Maddy & Ramsey after Jared talked to him.

And yes he's been saying way before the bros won HOH that he wants a Canadian to win. That is a fact.


That is a fact.
I don't think so.


Only season 1 was a Province Pride and later East Coast vs West Coast.

This season is the opposite.

These calculated crystals were left in the page by mistake:
/*
(1)
Simulated X-ray powder pattern
Compound: Na4Eu2SnP4
Radiation: λ = 1.5418 Å (Cu Kα)
Structure: DFT lattice parameters and positions (PBE)

Atomic structure:
Lattice parameters (Å, degrees): 9.550 9.550 7.238 90.92 90.92 120.12
Fractional coordinates of all 22 atoms:
Na: 0.071 0.929 0.500
Na: 0.327 0.864 0.194
Na: 0.507 0.659 0.037
Na: 0.659 0.507 0.537
Na: 0.659 0.943 0.522
Na: 0.864 0.327 0.694
Na: 0.929 0.071 0.000
Na: 0.943 0.659 0.022
Eu: 0.261 0.311 0.688
Eu: 0.264 0.740 0.697
Eu: 0.311 0.261 0.188
Eu: 0.740 0.264 0.197
Sn: 0.134 0.471 0.312
Sn: 0.471 0.134 0.812
P: 0.136 0.460 0.956
P: 0.169 0.983 0.903
P: 0.422 0.602 0.443
P: 0.460 0.136 0.456
P: 0.601 0.977 0.920
P: 0.602 0.422 0.943
P: 0.977 0.601 0.420
P: 0.983 0.169 0.403

Most intense lines, 2θ = 15–90°, in order of rising 2θ:
| 2θ/deg | I/Imax |
| --- | --- |
| 16.1 | 100 |
| 21.5 | 49 |
| 28.6 | 54 |
| 30.8 | 43 |
| 31.0 | 76 |
| 31.3 | 67 |
| 31.6 | 38 |
| 32.5 | 68 |
| 32.9 | 66 |
| 33.4 | 75 |
| 37.7 | 92 |
| 37.8 | 56 |

***

(2)
Simulated X-ray powder pattern
Compound: CuH6Se2O8
Radiation: λ = 1.5418 Å (Cu Kα)
Structure: DFT lattice parameters and positions (PBE)

Atomic structure:
Lattice parameters (Å, degrees): 6.406 6.334 9.189 90.00 91.26 90.00
Fractional coordinates of all 34 atoms:
Cu: 0.000 0.000 0.000
Cu: 0.000 0.500 0.500
H: 0.226 0.068 0.459
H: 0.226 0.432 0.959
H: 0.358 0.209 0.569
H: 0.358 0.291 0.069
H: 0.430 0.218 0.839
H: 0.430 0.282 0.339
H: 0.570 0.718 0.661
H: 0.570 0.782 0.161
H: 0.642 0.709 0.931
H: 0.642 0.791 0.431
H: 0.774 0.568 0.041
H: 0.774 0.932 0.541
Se: 0.232 0.727 0.243
Se: 0.232 0.773 0.743
Se: 0.768 0.227 0.257
Se: 0.768 0.273 0.757
O: 0.095 0.547 0.701
O: 0.095 0.953 0.201
O: 0.201 0.721 0.428
O: 0.201 0.779 0.928
O: 0.283 0.211 0.474
O: 0.283 0.289 0.974
O: 0.495 0.666 0.751
O: 0.495 0.834 0.251
O: 0.505 0.166 0.749
O: 0.505 0.334 0.249
O: 0.717 0.711 0.026
*/
End of the calculated crystals:

Loveita targeted Kelsey and both are Alberta.

Cassandra is targeting Jared and both are Manitoba (and know eachother)

Ontario people target eachother all the time.


I never said the strategy worked. I said I think (because I don't read minds to 100% know) he was probably trying to get him to admit he's aligned with weak players so they turn on him but didn't own up to it.
